By Samantha Congdon, LMFT
Today is the day when one chapter closes and another one opens. You hold the memories of your past and begin to make steps towards your future. You are about to embark on a new journey as you walk the stage with your cap in place and your gown perfectly pressed. Today is graduation day. For many seniors, graduating high school or college during the current pandemic means missing milestones and public recognition for their achievements.
Many graduating traditions are being canceled for our beloved graduates and they are mourning the loss. Dr. Ludmila De Faria, a psychiatrist with Florida State University, shares the importance of parents taking the loss of graduation seriously and trying to help their young adult process their feelings. She shares how graduation is the onset to an important developmental milestone, where young adults begin to develop their identities, move away from home, learn to take care of themselves, and create new support groups. It is the next big step in a young adult’s life and missing it can elicit an array of feelings, such as frustration, sadness, and worry.
How can parents help? “Parents should recognize that for many young people, graduation is the biggest thing they have experienced in their lives,” ( Simply listening and creating a space where your young adult’s feelings are acknowledged is essential. Encourage them to stay connected with their friends and take advantage of the different shared online activities they can engage in, such as group chats, video movie nights, etc. Also, parents can help their young adult shift awareness to the things they do have control over in their lives.
TbPuTl | Alexandria | GGA-PBE | relaxed; SG = I4mm (107); electronic total energy = -0.524 Ry per atom; crystal system = tetragonal; ΔE_f = -0.025 eV/atom
1.0
-1.822 1.822 6.487
1.822 -1.822 6.487
1.822 1.822 -6.487
Tb Pu Tl
1 1 1
Direct
0.000 0.000 0.000 Tb
0.682 0.682 0.000 Pu
0.344 0.344 0.000 Tl
_The materials data stop here_
While COVID19 regulation may require schools to cancel graduation ceremonies, it does not mean that they cannot still be celebrated. The University of Vermont created a list of ways to celebrate your graduate. For instance, host your own graduation ceremony at home. Set up a video chat with friends and family and have everyone dress up. If your school sends the diploma in the mail, celebrate the opening of that letter virtually with all your friends and family. The fun does not have to stop there. Have your young adult be their own valedictorian sharing their favorite memories from school, or find an inspiring commencement speech online. The pandemic may stop us from partaking in past traditions, but today we have a unique opportunity to get creative and adapt these traditions to address our current lifestyles.
Canceled Birthday Party? No Graduation? Tips on Celebrating Missed Milestones During COVID-19. March 26,2020. University of Vermont Medical Center.
Kerr, E. Coronavirus and College Graduation: What to Know. March 20,2020. U.S. News.
## Between two parts of the piece: data records
Sc4TlCr (PBE, relaxed); total moment = 3.85 μB per cell; formation energy = 0.427 eV per atom; SG = F-43m
1.0
0.0000 4.1141 4.1141
4.1141 0.0000 4.1141
4.1141 4.1141 0.0000
Sc Tl Cr
4 1 1
Direct
0.8773 0.3742 0.3742
0.3742 0.3742 0.8773
0.3742 0.8773 0.3742
0.3742 0.3742 0.3742
0.7500 0.7500 0.7500
0.0000 0.0000 0.0000

***

Nd4DyN4 (PBE, relaxed); total moment = 0.50 μB per cell; SG = C2/m; uncorrected formation energy = -1273 meV per atom
1.0
3.5126 0.0000 0.8302
1.4875 5.9253 1.5521
-0.0651 -0.0140 8.1213
Nd Dy N
4 1 4
Direct
0.7054 0.4016 0.1876
0.8948 0.8285 0.3820
0.2946 0.5984 0.8124
0.1052 0.1715 0.6180
0.5000 0.0000 0.0000
0.3063 0.0914 0.2960
0.6937 0.9086 0.7040
0.9010 0.2897 0.9084
0.0990 0.7103 0.0916

***

VTc5Ge6 (PBE, relaxed); total moment = 1.02 μB per cell; formation energy = -0.059 eV per atom; SG = P-1
1.0
7.5089 0.4428 0.0079
2.2602 3.6766 0.0052
1.1366 1.8432 6.5312
V Tc Ge
1 5 6
Direct
0.0000 0.0000 0.0000
0.4999 0.1673 0.6652
0.0001 0.3410 0.3183
0.5000 0.5000 0.0000
0.9999 0.6590 0.6817
0.5001 0.8327 0.3348
0.7465 0.0848 0.3380
0.2535 0.5777 0.3381
0.2582 0.2415 0.0000
0.7418 0.7585 0.0000
0.7465 0.4223 0.6619
0.2535 0.9152 0.6620

***

KRhPbO4 (PBE, relaxed); total moment = 0.00 μB per cell; SG = Imma; uncorrected formation energy = -1038 meV per atom
1.0
-2.5278 -3.0969 -5.0610
-2.9149 -0.8509 6.0858
-0.4871 6.1527 -3.5216
K Rh Pb O
2 2 2 8
Direct
0.8589 0.7177 0.1089
0.1411 0.2823 0.8911
0.5000 0.5000 0.5000
0.0000 0.5000 0.5000
0.5000 0.0000 0.5000
0.5000 0.0000 0.0000
0.7394 0.4787 0.6713
0.3080 0.0798 0.2899
0.7718 0.0798 0.2899
0.7394 0.4787 0.3074
0.2606 0.5213 0.6926
0.6920 0.9202 0.7101
0.2282 0.9202 0.7101
0.2606 0.5213 0.3287

***

AcPm6Y8 (PBE, relaxed); total moment = 0.00 μB per cell; distance to the lowest polymorph of the same formula = 0.829 eV per formula unit; formation energy = 0.218 eV per atom; SG = R-3
1.0
8.0753 0.3356 2.2091
1.7715 7.8857 2.2091
0.4019 0.3356 8.3623
Ac Pm Y
1 6 8
Direct
0.0000 0.0000 0.0000
0.6164 0.4313 0.1698
0.1698 0.6164 0.4313
0.4313 0.1698 0.6164
0.3836 0.5687 0.8302
0.8302 0.3836 0.5687
0.5687 0.8302 0.3836
0.2342 0.2342 0.2342
0.7658 0.7658 0.7658
0.0574 0.3852 0.8604
0.8604 0.0574 0.3852
0.3852 0.8604 0.0574
0.9426 0.6148 0.1396
0.1396 0.9426 0.6148
0.6148 0.1396 0.9426

~~~~~

First-principles (PBE) data for an optimized crystal structure of YZn2, as listed in Alexandria.

Formation enthalpy at 0 K: -0.1171 eV/atom
Magnetic moment: 0.000 μB/f.u.
Calculated density: 5.82 g cm⁻³

abc: 5.0945 5.0945 5.0945
angles: 142.03 128.58 65.68
Atoms (fractional coordinates):
Y (0.0000, 0.0000, 0.0000)
Zn (0.3405, 0.3405, 0.0000)
Zn (0.6595, 0.6595, 0.0000)

~~~~~

Compound: KLa4I8
Source: Alexandria
Functional: PBE
Structure: optimized geometry

Summary:
energy relative to the elements, uncorrected = -1.341 eV per atom
crystal system = trigonal

abc: 8.4361 8.4361 28.7202
angles: 90.00 90.00 120.00
With the nearest neighbours (Å) after each atom.
Neighmond, R. With Senior Year in Disarray, Teens and Young adults feeling lost. Here’s How to Help. April, 19, 2020.